**Assignment:**
Transcribe all of the data underneath without altering anything.

**Contents:**
<<<
Record 1
DFT (ωB97M-V/def2-TZVPD) results for a 2-piece molecular cluster, C4H8O overall.

```
13
Properties=species:S:1:pos:R:3
C 1.171 -1.896 0.788
C -0.270 -2.308 0.693
O -1.056 -2.383 1.598
H 1.316 -1.184 -0.021
H 1.445 -1.528 1.775
H 1.781 -2.787 0.639
H -0.583 -2.549 -0.342
C -0.024 2.673 -0.685
C -1.208 2.204 -1.022
H 0.810 1.985 -0.613
H 0.075 3.724 -0.462
H -1.416 1.160 -1.215
H -2.042 2.888 -1.131
```

Computed properties:
lowest unoccupied orbital energy = 0.941 eV
HOMO = -0.365 Eh
HOMO-LUMO gap = 10.88 eV
relative energy (zero: lowest compared OMol25 entry of this formula, charge and spin) = 34.1 kcal per mole

---

Record 2
DFT (ωB97M-V/def2-TZVPD) results for C24H50ClIrNO3P2Si2 as an isolated structure in a non-equilibrium geometry.

```
84
Properties=species:S:1:pos:R:3
Ir 0.119 0.948 0.042
C -0.927 -0.268 2.036
C -1.479 0.987 1.241
C -2.706 0.528 0.637
Si -1.206 2.772 1.923
C -2.993 -0.795 1.039
C -1.967 -1.347 1.794
Si -1.482 -3.088 2.200
H -0.751 -0.155 3.135
H -3.237 1.144 -0.091
H -3.874 -1.357 0.737
Cl 0.698 0.156 -2.104
C -1.222 -3.179 4.051
C -2.729 -4.342 1.589
C -1.094 2.545 3.766
C -2.702 3.785 1.438
H -3.713 -4.106 2.020
H -2.455 -5.357 1.919
H -2.831 -4.350 0.496
H -0.336 -2.607 4.360
H -1.102 -4.211 4.406
H -2.088 -2.742 4.564
H -3.585 3.337 1.911
H -2.901 3.845 0.363
H -2.580 4.805 1.827
H -1.994 2.047 4.135
H -1.039 3.533 4.240
H -0.218 1.954 4.060
C 0.244 -3.307 1.325
C 0.389 3.560 1.229
P 0.410 -2.548 -0.359
H 0.595 -4.355 1.338
H 0.939 -2.697 1.949
P 0.573 2.974 -0.488
H 1.230 3.141 1.811
H 0.413 4.654 1.294
C 2.266 3.363 -1.057
C -0.776 3.782 -1.453
C -0.861 -3.442 -1.398
C 2.050 -3.172 -0.992
C 3.096 -2.061 -0.822
H 1.882 -3.330 -2.071
C 2.538 -4.472 -0.359
H 2.683 -4.351 0.720
H 3.509 -4.716 -0.809
H 1.866 -5.318 -0.539
H 2.832 -1.192 -1.434
H 4.079 -2.430 -1.140
H 3.163 -1.738 0.224
H -1.810 -3.160 -0.909
C -0.698 -4.963 -1.379
C -0.894 -2.872 -2.823
H -0.693 -5.391 -0.368
H 0.213 -5.278 -1.905
H -1.551 -5.402 -1.915
H -1.106 -1.797 -2.813
H -1.689 -3.379 -3.383
H 0.051 -3.031 -3.357
H -1.690 3.469 -0.925
C -0.850 3.189 -2.855
C -0.728 5.312 -1.448
H -0.762 5.746 -0.440
H -1.613 5.684 -1.983
H 0.156 5.695 -1.972
H -1.058 2.114 -2.825
H 0.082 3.336 -3.415
H -1.666 3.681 -3.400
C 3.208 2.187 -0.789
C 2.836 4.649 -0.460
H 2.165 3.481 -2.149
H 2.991 4.557 0.622
H 2.206 5.525 -0.650
H 3.811 4.833 -0.929
H 3.297 1.954 0.280
H 4.203 2.435 -1.174
H 2.851 1.288 -1.300
C 1.093 0.069 -5.760
H 0.003 0.064 -5.836
H 1.630 1.016 -5.692
H 1.640 -0.875 -5.731
O 1.899 0.999 3.576
N 1.306 -0.051 3.847
O 1.831 -1.167 3.885
O 0.293 -0.510 1.383
```

Computed properties:
lowest unoccupied orbital energy (spin up / spin down) = -0.328 / -2.590 eV
HOMO (spin up / spin down) = -0.228 / -0.239 Eh
2S+1 = 6
⟨S²⟩ = 8.7984
HOMO-LUMO gap (spin up / spin down) = 5.87 / 3.91 eV
relative energy (zero: lowest compared OMol25 entry of this formula, charge and spin) = 37.4 kcal per mole

---

Record 3
DFT (ωB97M-V/def2-TZVPD) results for a 2-piece molecular cluster, C6H16 overall in a non-equilibrium geometry.

```
22
Properties=species:S:1:pos:R:3
C 1.129 0.801 1.043
C 2.271 -0.277 1.190
C 1.759 -1.551 0.462
H 1.571 1.757 1.358
H 0.549 0.992 0.157
H 0.388 0.458 1.773
H 2.360 -0.416 2.286
H 3.084 0.215 0.742
H 1.597 -1.360 -0.592
H 0.889 -1.949 0.993
H 2.332 -2.506 0.609
C -2.034 1.377 -0.184
C -1.383 0.601 -1.384
C -1.596 -0.925 -1.161
H -3.102 1.201 -0.167
H -1.864 2.408 -0.410
H -1.634 1.072 0.754
H -1.885 0.743 -2.369
H -0.386 1.070 -1.383
H -2.499 -1.274 -1.662
H -0.804 -1.432 -1.734
H -1.572 -1.281 -0.147
```

Computed properties:
lowest unoccupied orbital energy = 1.152 eV
HOMO = -0.394 Eh
HOMO-LUMO gap = 11.89 eV
relative energy (zero: lowest compared OMol25 entry of this formula, charge and spin) = 29.8 kcal per mole

---

Record 4
DFT (ωB97M-V/def2-TZVPD) results for C35H34ClHfN4O3S4 as an isolated structure in a non-equilibrium geometry.

```
82
Properties=species:S:1:pos:R:3
Hf 0.991 2.313 -0.179
>>>

**Written answer:**
Record 1
DFT (ωB97M-V/def2-TZVPD) results for a 2-piece molecular cluster, C4H8O overall.

```
13
Properties=species:S:1:pos:R:3
C 1.171 -1.896 0.788
C -0.270 -2.308 0.693
O -1.056 -2.383 1.598
H 1.316 -1.184 -0.021
H 1.445 -1.528 1.775
H 1.781 -2.787 0.639
H -0.583 -2.549 -0.342
C -0.024 2.673 -0.685
C -1.208 2.204 -1.022
H 0.810 1.985 -0.613
H 0.075 3.724 -0.462
H -1.416 1.160 -1.215
H -2.042 2.888 -1.131
```

Computed properties:
lowest unoccupied orbital energy = 0.941 eV
HOMO = -0.365 Eh
HOMO-LUMO gap = 10.88 eV
relative energy (zero: lowest compared OMol25 entry of this formula, charge and spin) = 34.1 kcal per mole

---

Record 2
DFT (ωB97M-V/def2-TZVPD) results for C24H50ClIrNO3P2Si2 as an isolated structure in a non-equilibrium geometry.

```
84
Properties=species:S:1:pos:R:3
Ir 0.119 0.948 0.042
C -0.927 -0.268 2.036
C -1.479 0.987 1.241
C -2.706 0.528 0.637
Si -1.206 2.772 1.923
C -2.993 -0.795 1.039
C -1.967 -1.347 1.794
Si -1.482 -3.088 2.200
H -0.751 -0.155 3.135
H -3.237 1.144 -0.091
H -3.874 -1.357 0.737
Cl 0.698 0.156 -2.104
C -1.222 -3.179 4.051
C -2.729 -4.342 1.589
C -1.094 2.545 3.766
C -2.702 3.785 1.438
H -3.713 -4.106 2.020
H -2.455 -5.357 1.919
H -2.831 -4.350 0.496
H -0.336 -2.607 4.360
H -1.102 -4.211 4.406
H -2.088 -2.742 4.564
H -3.585 3.337 1.911
H -2.901 3.845 0.363
H -2.580 4.805 1.827
H -1.994 2.047 4.135
H -1.039 3.533 4.240
H -0.218 1.954 4.060
C 0.244 -3.307 1.325
C 0.389 3.560 1.229
P 0.410 -2.548 -0.359
H 0.595 -4.355 1.338
H 0.939 -2.697 1.949
P 0.573 2.974 -0.488
H 1.230 3.141 1.811
H 0.413 4.654 1.294
C 2.266 3.363 -1.057
C -0.776 3.782 -1.453
C -0.861 -3.442 -1.398
C 2.050 -3.172 -0.992
C 3.096 -2.061 -0.822
H 1.882 -3.330 -2.071
C 2.538 -4.472 -0.359
H 2.683 -4.351 0.720
H 3.509 -4.716 -0.809
H 1.866 -5.318 -0.539
H 2.832 -1.192 -1.434
H 4.079 -2.430 -1.140
H 3.163 -1.738 0.224
H -1.810 -3.160 -0.909
C -0.698 -4.963 -1.379
C -0.894 -2.872 -2.823
H -0.693 -5.391 -0.368
H 0.213 -5.278 -1.905
H -1.551 -5.402 -1.915
H -1.106 -1.797 -2.813
H -1.689 -3.379 -3.383
H 0.051 -3.031 -3.357
H -1.690 3.469 -0.925
C -0.850 3.189 -2.855
C -0.728 5.312 -1.448
H -0.762 5.746 -0.440
H -1.613 5.684 -1.983
H 0.156 5.695 -1.972
H -1.058 2.114 -2.825
H 0.082 3.336 -3.415
H -1.666 3.681 -3.400
C 3.208 2.187 -0.789
C 2.836 4.649 -0.460
H 2.165 3.481 -2.149
H 2.991 4.557 0.622
H 2.206 5.525 -0.650
H 3.811 4.833 -0.929
H 3.297 1.954 0.280
H 4.203 2.435 -1.174
H 2.851 1.288 -1.300
C 1.093 0.069 -5.760
H 0.003 0.064 -5.836
H 1.630 1.016 -5.692
H 1.640 -0.875 -5.731
O 1.899 0.999 3.576
N 1.306 -0.051 3.847
O 1.831 -1.167 3.885
O 0.293 -0.510 1.383
```

Computed properties:
lowest unoccupied orbital energy (spin up / spin down) = -0.328 / -2.590 eV
HOMO (spin up / spin down) = -0.228 / -0.239 Eh
2S+1 = 6
⟨S²⟩ = 8.7984
HOMO-LUMO gap (spin up / spin down) = 5.87 / 3.91 eV
relative energy (zero: lowest compared OMol25 entry of this formula, charge and spin) = 37.4 kcal per mole

---

Record 3
DFT (ωB97M-V/def2-TZVPD) results for a 2-piece molecular cluster, C6H16 overall in a non-equilibrium geometry.

```
22
Properties=species:S:1:pos:R:3
C 1.129 0.801 1.043
C 2.271 -0.277 1.190
C 1.759 -1.551 0.462
H 1.571 1.757 1.358
H 0.549 0.992 0.157
H 0.388 0.458 1.773
H 2.360 -0.416 2.286
H 3.084 0.215 0.742
H 1.597 -1.360 -0.592
H 0.889 -1.949 0.993
H 2.332 -2.506 0.609
C -2.034 1.377 -0.184
C -1.383 0.601 -1.384
C -1.596 -0.925 -1.161
H -3.102 1.201 -0.167
H -1.864 2.408 -0.410
H -1.634 1.072 0.754
H -1.885 0.743 -2.369
H -0.386 1.070 -1.383
H -2.499 -1.274 -1.662
H -0.804 -1.432 -1.734
H -1.572 -1.281 -0.147
```

Computed properties:
lowest unoccupied orbital energy = 1.152 eV
HOMO = -0.394 Eh
HOMO-LUMO gap = 11.89 eV
relative energy (zero: lowest compared OMol25 entry of this formula, charge and spin) = 29.8 kcal per mole

---

Record 4
DFT (ωB97M-V/def2-TZVPD) results for C35H34ClHfN4O3S4 as an isolated structure in a non-equilibrium geometry.

```
82
Properties=species:S:1:pos:R:3
Hf 0.991 2.313 -0.179